Your job: echo the lines underneath up to the one that holds "0.029 0.791", that line included.

<<<
Na4CaSi3Sn3S3O24: relaxed, PBE.

abc: 9.041 9.041 23.162
angles: 89.28 89.65 60.11
Space group P1 (No. 1)
One atom of each set of equivalent atoms:
Na 0.000 0.000 0.000 x1
Na 0.003 0.622 0.758 x1
Na 0.010 0.998 0.494 x1
Na 0.310 0.356 0.331 x1
Na 0.313 0.347 0.836 x1
Na 0.342 0.011 0.757 x1
Na 0.349 0.626 0.253 x1
Na 0.631 0.016 0.250 x1
Na 0.653 0.653 0.672 x1
Na 0.668 0.303 0.410 x1
Na 0.674 0.654 0.163 x1
Na 0.990 0.372 0.245 x1
Ca 0.312 0.346 0.179 x1
Ca 0.320 0.343 0.687 x1
Ca 0.999 0.997 0.356 x1
Si 0.013 0.338 0.086 x1
Si 0.287 0.711 0.753 x1
Si 0.365 0.673 0.420 x1
Si 0.373 0.959 0.919 x1
Si 0.691 0.300 0.254 x1
Si 0.948 0.676 0.916 x1
Si 0.951 0.377 0.421 x1
Si 0.978 0.299 0.755 x1
Si 0.985 0.714 0.251 x1
Sn 0.016 0.990 0.859 x1
Sn 0.298 0.335 0.980 x1
Sn 0.310 0.351 0.480 x1
Sn 0.654 0.666 0.516 x1
Sn 0.656 0.663 0.820 x1
Sn 0.664 0.672 0.016 x1
Sn 0.670 0.650 0.316 x1
Sn 0.974 0.019 0.150 x1
Sn 0.997 0.013 0.656 x1
S 0.015 0.643 0.584 x1
S 0.288 0.998 0.251 x1
S 0.323 0.638 0.082 x1
S 0.327 0.035 0.583 x1
S 0.618 0.040 0.082 x1
S 0.625 0.335 0.583 x1
S 0.650 0.963 0.419 x1
S 0.653 0.374 0.920 x1
S 0.704 0.001 0.753 x1
O 0.005 0.156 0.087 x1
O 0.008 0.171 0.809 x1
O 0.029 0.791 0.305 x1
O 0.074 0.374 0.146 x1
O 0.086 0.541 0.636 x1
O 0.126 0.561 0.532 x1
O 0.140 0.521 0.247 x1
O 0.141 0.301 0.030 x1
O 0.143 0.360 0.424 x1
O 0.143 0.509 0.921 x1
O 0.152 0.307 0.749 x1
O 0.153 0.800 0.806 x1
O 0.166 0.810 0.086 x1
O 0.170 0.018 0.586 x1
O 0.178 0.827 0.422 x1
O 0.180 0.986 0.917 x1
O 0.184 0.031 0.302 x1
O 0.210 0.835 0.693 x1
O 0.213 0.964 0.198 x1
O 0.298 0.529 0.749 x1
O 0.300 0.549 0.031 x1
O 0.303 0.146 0.531 x1
O 0.315 0.145 0.243 x1
O 0.352 0.106 0.636 x1
O 0.353 0.543 0.136 x1
O 0.362 0.147 0.923 x1
O 0.378 0.479 0.425 x1
O 0.451 0.701 0.478 x1
O 0.458 0.835 0.974 x1
O 0.460 0.840 0.257 x1
O 0.469 0.711 0.759 x1
O 0.477 0.658 0.074 x1
O 0.478 0.879 0.858 x1
O 0.485 0.635 0.361 x1
O 0.485 0.862 0.577 x1
O 0.493 0.136 0.426 x1
O 0.498 0.359 0.927 x1
O 0.503 0.323 0.246 x1
O 0.521 0.359 0.634 x1
O 0.528 0.107 0.137 x1
O 0.531 0.146 0.746 x1
O 0.533 0.154 0.031 x1
O 0.545 0.312 0.529 x1
O 0.620 0.480 0.866 x1
O 0.622 0.888 0.367 x1
O 0.634 0.868 0.076 x1
O 0.644 0.491 0.578 x1
O 0.673 0.858 0.472 x1
O 0.675 0.494 0.254 x1
O 0.685 0.453 0.970 x1
O 0.691 0.841 0.756 x1
O 0.767 0.194 0.312 x1
O 0.784 0.026 0.803 x1
O 0.794 0.019 0.084 x1
O 0.797 0.716 0.256 x1
O 0.798 0.984 0.417 x1
O 0.799 0.176 0.587 x1
O 0.806 0.204 0.912 x1
O 0.810 0.970 0.698 x1
O 0.814 0.495 0.759 x1
O 0.820 0.220 0.197 x1
O 0.821 0.508 0.075 x1
O 0.834 0.471 0.477 x1
O 0.834 0.704 0.973 x1
O 0.841 0.662 0.576 x1
O 0.870 0.638 0.857 x1
O 0.879 0.493 0.360 x1
O 0.938 0.229 0.693 x1
O 0.946 0.839 0.192 x1
O 0.951 0.201 0.422 x1
O 0.954 0.854 0.911 x1
O 0.999 0.817 0.589 x1

Results
The calculation puts the total magnetization at 0.26 Bohr magnetons per cell. The formation enthalpy at 0 K comes out at -2.333 eV per atom.

BaCuO2: relaxed, PBE.

abc: 6.061 11.910 3.703
angles: 90.00 90.00 90.00
Space group Pbam (No. 55)
One atom of each set of equivalent atoms:
Ba 0.231 0.143 0.000 x4
Cu 0.233 0.374 0.500 x4
O 0.008 0.740 0.500 x4
O 0.239 0.915 0.000 x4

Results
The calculation puts the total magnetization at 3.46 Bohr magnetons per cell. The formation enthalpy at 0 K comes out at -1.882 eV per atom.
>>>

Na4CaSi3Sn3S3O24: relaxed, PBE.

abc: 9.041 9.041 23.162
angles: 89.28 89.65 60.11
Space group P1 (No. 1)
One atom of each set of equivalent atoms:
Na 0.000 0.000 0.000 x1
Na 0.003 0.622 0.758 x1
Na 0.010 0.998 0.494 x1
Na 0.310 0.356 0.331 x1
Na 0.313 0.347 0.836 x1
Na 0.342 0.011 0.757 x1
Na 0.349 0.626 0.253 x1
Na 0.631 0.016 0.250 x1
Na 0.653 0.653 0.672 x1
Na 0.668 0.303 0.410 x1
Na 0.674 0.654 0.163 x1
Na 0.990 0.372 0.245 x1
Ca 0.312 0.346 0.179 x1
Ca 0.320 0.343 0.687 x1
Ca 0.999 0.997 0.356 x1
Si 0.013 0.338 0.086 x1
Si 0.287 0.711 0.753 x1
Si 0.365 0.673 0.420 x1
Si 0.373 0.959 0.919 x1
Si 0.691 0.300 0.254 x1
Si 0.948 0.676 0.916 x1
Si 0.951 0.377 0.421 x1
Si 0.978 0.299 0.755 x1
Si 0.985 0.714 0.251 x1
Sn 0.016 0.990 0.859 x1
Sn 0.298 0.335 0.980 x1
Sn 0.310 0.351 0.480 x1
Sn 0.654 0.666 0.516 x1
Sn 0.656 0.663 0.820 x1
Sn 0.664 0.672 0.016 x1
Sn 0.670 0.650 0.316 x1
Sn 0.974 0.019 0.150 x1
Sn 0.997 0.013 0.656 x1
S 0.015 0.643 0.584 x1
S 0.288 0.998 0.251 x1
S 0.323 0.638 0.082 x1
S 0.327 0.035 0.583 x1
S 0.618 0.040 0.082 x1
S 0.625 0.335 0.583 x1
S 0.650 0.963 0.419 x1
S 0.653 0.374 0.920 x1
S 0.704 0.001 0.753 x1
O 0.005 0.156 0.087 x1
O 0.008 0.171 0.809 x1
O 0.029 0.791 0.305 x1